Tools like Prettier ask us to give up control


Perhaps you've heard of a tool called Prettier. If you haven't, Prettier is a code formatter for a variety of languages—JavaScript, TypeScript, CSS, Markdown, GraphQL, and many other languages. It's an amazing tool and I've been a huge fan of having it as a part of my workflow for the past few years.

Working on a project with a formatter installed can be an absolute joy. You simply write code, hit save, and voila! Everything snaps into place and your code is beautifully and consistently formatted across the entire project.

• Unrelated to this page: quantum chemistry results:
Entry 1:
Computed, not measured: an isolated ion of composition C5H11N2O2 and charge -1 at a distorted geometry, with ωB97M-V/def2-TZVPD.

The value obtained for the total energy is -456.9332 hartree. As for the multiplicity: 3. The calculation puts the energy relative to the best compared isomer or geometry (same formula, charge and spin) at 0.0000 eV. Its orbital gap (spin up / spin down) is 3.20 / 6.30 eV. As for the total charge: -1.

Cartesian coordinates (Å):
C -1.0860 0.7551 -1.8919
C -1.7633 -0.6245 0.2235
C 0.4643 -1.1754 -1.0202
C 0.9908 0.6167 1.1962
C -0.4883 -0.0839 -0.6274
N 0.6058 2.1673 -0.6473
N 0.1270 1.0076 0.1480
O -2.0809 1.5331 -1.6653
O -0.5336 0.5549 -3.0225
H -2.4238 0.2915 0.0814
H -1.5745 -0.9851 1.1930
H -2.2623 -1.4217 -0.3118
H 1.3538 -1.2826 -0.3783
H 0.7727 -1.0291 -2.0383
H -0.0195 -2.1554 -0.9810
H 2.0089 0.5507 0.9051
H 0.8447 1.3312 1.9999
H 0.6904 -0.2883 1.6269
H 0.3084 1.9147 -1.6399
H -0.2367 2.7932 -0.4842

Forces on atoms 1 to 3 (eV/Å):
C -2.12 -0.46 -1.98
C 0.02 2.67 -2.70
C 0.82 -0.98 0.44

=====

Entry 2:
Computed, not measured: a 2-piece molecular cluster, C5H11N2O2 overall at a distorted geometry, with ωB97M-V/def2-TZVPD.

The value obtained for the total energy is -456.7085 hartree. The calculation puts the energy relative to the best compared isomer or geometry (same formula, charge and spin) at 4.5697 eV. Its orbital gap is 7.60 eV. As for the total charge: +1.

Cartesian coordinates (Å):
C 2.6335 -1.5062 0.9262
C 2.9981 -0.4500 0.2922
C 0.2923 0.7486 0.5019
C -2.8272 -0.5385 -1.2002
C -2.0120 0.3052 -0.2235
N -0.5544 0.0763 -0.2710
N 3.5131 0.4857 -0.4794
O -0.1978 1.7496 1.2126
O -2.3617 -0.0646 1.0778
H 3.2030 -2.3974 0.7213
H 2.0038 -1.5490 1.7635
H -3.7786 -0.5298 -0.9053
H -2.3825 -1.5658 -1.2171
H -2.8462 -0.1734 -2.1444
H -2.0563 1.3848 -0.5140
H -0.1513 -0.4911 -1.0124
H 0.6300 2.2201 1.4688
H 4.1541 1.2549 -0.1362
H 2.9635 0.8821 -1.2032
H -3.2233 0.1586 1.3426

Forces on atoms 1 to 3 (eV/Å):
C 1.54 0.31 -0.75
C 0.46 2.33 -1.48
C 1.59 -0.74 -1.45

=====

Entry 3:
Computed, not measured: a 2-piece molecular cluster, C5H11N2O2S overall at a distorted geometry, with ωB97M-V/def2-TZVPD.

The value obtained for the total energy is -855.2450 hartree. The calculation puts the energy relative to the best compared isomer or geometry (same formula, charge and spin) at 0.1096 eV. Its orbital gap is 7.73 eV. As for the total charge: -1.

Cartesian coordinates (Å):
C -0.3690 -1.8841 0.0259
C -1.1372 -0.8405 0.8689
C -0.3321 -1.2701 -1.3561
C -1.7179 0.1452 -0.2493
C 1.6901 1.8759 -0.2477
N -0.9402 -0.1495 -1.5222
N 1.6700 0.5687 0.3390
O 2.6588 -1.7599 0.5126
O 4.2409 0.1563 0.3117
S 2.9585 -0.4203 0.0023
H 0.6576 -2.0200 0.4038
H -0.7055 -2.9631 0.0227
H -1.8780 -0.9956 1.6507
H -0.2889 -0.3392 1.3875
H 3.0497 -0.6097 -1.5347
H 0.3638 -1.7211 -2.0461
H -2.6841 -0.1783 -0.6730
H -1.6385 1.2085 0.0017
H 1.9121 1.9277 -1.2752
H 0.6278 2.1871 -0.0041
H 2.4547 2.5765 0.2516
• End of the quantum chemistry results:

And yet, I've seen a decent amount of pushback when introducing Prettier to a team. I've done this a few times over the past few years, and adoption often been initially met with reluctance. Then, after we start using it Prettier becomes one of the team's favorite tools.

I think one of the main reasons that tools like Prettier receive pushback is simply because it—not developers—formats the code. It remains opinionated by not providing a ton of configuration options. So the code might be formatted in a way that you initially "dislike". Even though the code works 100% the same as it did pre-formatting, it's not the way you "would have formatted it". Perhaps it's the way it breaks lines or handles ternary expressions or you didn't like it adding/removing semicolons.

Prettier doesn't hide the fact that it's opinionated about formatting code. It's chosen description is "An opinionated code formatter". Opinionated tools always comes with an ask. They say, "Leave the formatting to me—don't worry, I've got this."

When we adopt opinionated tools like Prettier we do lose something—fine-grained control over how our code looks. But what we gain in return can make the loss 100% worth it.

When we give control of formatting over to our tools we can eliminate formatting from our mental checklist. I didn't realize how much time and effort I spent deciding whether a function should be broken into a single line vs. multiple lines, trying to hunt down missing semicolons, or other miscellaneous formatting decisions. I sincerely wanted to do the "cleanest" formatting for my code but I'd go back and forth on what formats I liked. Although each of these amount to small decisions, they add up over the course of a day. If we can cut out an entire category of decisions from our workflow, we save more decision-making power for stuff that can't be automated, like variable names, creating good interfaces, and future maintainability.

-- begin --
Entry 1:
C22H30BBeCl2F5MgN2O12S3Si2 | ωB97M-V/def2-TZVPD

Geometry as XYZ:
```
81
Properties=species:S:1:pos:R:3:forces:R:3
C -0.312766 1.068609 0.978983 0.1086 -0.4964 -0.0769
C -0.629752 2.018716 -0.278798 1.6008 0.0699 0.8697
S -2.390213 1.804747 -0.813095 0.2968 0.5749 -0.6029
C -3.483882 3.138600 -0.125177 0.1873 1.0464 -0.1427
Si -4.659635 2.583582 1.276014 0.8254 1.1850 3.4771
F -4.469297 3.747061 2.533272 -0.1922 -2.2666 -2.4534
O -4.289771 1.058961 1.972064 -1.5006 0.8801 -2.4516
Si -4.972995 -0.295002 1.136575 1.1223 0.3344 0.4270
S -6.969817 -0.010925 0.392487 -0.4859 0.1231 -0.5852
H 0.344831 1.593689 1.741666 -1.0039 -0.4579 -0.9666
H 0.265388 0.146241 0.628873 -0.8636 1.3273 0.3695
H -1.265367 0.668875 1.468489 1.2804 0.7699 -0.5519
H 0.052337 1.662500 -1.121379 -1.2881 0.4701 0.7431
H -0.327449 3.109201 -0.094504 -0.7554 -1.3910 -0.2127
H -4.144378 3.508227 -0.986069 0.8634 -0.4530 1.1170
H -2.883199 4.042973 0.231398 -0.6438 -1.2067 -0.5101
H -6.067210 2.726059 0.857488 0.3105 -0.0936 0.0051
H -4.067499 -0.681372 0.036755 -0.1140 0.2307 -0.0735
H -4.991150 -1.420607 2.083569 -0.3501 0.2518 0.0813
H -6.952261 0.493974 -0.907310 0.6913 -0.4713 1.1540
Mg -2.394672 2.830949 -3.229984 0.5453 -0.1686 0.3909
N -3.153857 1.340319 -8.737939 0.2160 0.1021 0.2638
C -2.573982 1.369668 -7.506375 -0.1463 0.6611 -0.2816
C -2.106637 0.098503 -7.230222 0.8094 0.4832 0.1477
C -2.413682 -0.719147 -8.344688 0.1006 -0.2410 -0.5845
C -3.057210 0.071707 -9.259667 0.0762 -0.1490 0.3231
H -3.585746 2.126356 -9.195865 0.0679 -0.0716 0.0481
H -2.542011 2.281787 -6.930179 -0.0755 -0.0714 0.0133
H -1.599801 -0.206879 -6.325541 -0.5800 -0.6090 0.4657
H -2.187952 -1.767724 -8.461589 0.0891 0.1223 0.0771
H -3.456103 -0.154823 -10.235917 -0.0052 -0.0327 0.1110
B -0.613447 7.832419 1.118883 -0.5586 2.5466 1.6735
O -1.092534 7.368398 -0.202041 0.4852 -1.2542 -0.4776
C -0.474579 6.235456 -0.467614 -1.9452 1.5424 -1.7141
O -0.642501 5.586750 -1.481774 -0.1512 -0.6407 -0.1204
C 0.428060 5.892496 0.635123 2.0398 -0.4240 2.6500
O 1.135731 4.912033 0.692666 -0.4443 -0.1496 -0.4107
O 0.359457 6.819323 1.574221 -0.1039 -0.7423 -0.9581
F -1.700937 7.915273 2.031683 0.8519 -0.2344 -0.8719
F 0.018687 9.098341 0.992202 -0.5399 -1.1885 -0.0124
F -0.232702 -2.218855 1.107384 -0.0598 -0.0485 -0.0548
C 0.601908 -2.700620 2.036252 0.3024 -0.0921 0.4585
C 0.564941 -2.183488 3.314397 -0.8375 0.3493 -0.8070
C 1.440600 -2.696604 4.289505 -0.8412 -0.8042 1.1636
C 2.343307 -3.714888 3.951956 0.5284 -0.7734 -0.5658
C 2.370060 -4.216805 2.665531 0.2043 0.1896 0.9897
C 1.488745 -3.711749 1.696034 -0.3887 0.2464 -0.3853
H -0.134013 -1.392276 3.554009 0.0273 -0.1073 0.0592
H 1.416543 -2.304521 5.298827 0.1232 0.1388 -0.1902
H 3.018860 -4.107048 4.701505 -0.1637 0.1044 -0.0305
H 3.070644 -5.000856 2.403187 -0.0997 0.0688 -0.0261
H 1.491698 -4.101891 0.685051 -0.0260 0.0461 0.0237
O -0.162351 -0.917758 -4.926612 -2.1801 4.8391 -0.2300
S 0.917352 -1.773450 -5.511781 4.5306 -3.8405 -0.3466
-- stop --
(So much for the data records)

When we give control of formatting over to our tools we also eliminate an entire class of pull request (PR) comments. Seeing a PR with 50 comments of "semicolon here" or "please break into multiple lines" isn't enjoyable for the reviewer or the author). We can set the PR author up for success if we simply add a formatter to our project workflow—whatever the formatter does is the "right way" for the project. This scopes the conversation about formatting to a single decision—choosing which formatter to add and how to configure it. Instead of spending precious time and energy fighting over style, PR reviewers can focus on the maintainability of the new code and how it fits within the larger ecosystem of the codebase.

When we give control of formatting over to our tools we make our project more welcoming to newcomers. Whether it's someone who's just started learning how to code or a seasoned veteran juggling 3-4 different projects (each with their own formatting requirements), having tools guarantee that every commit and PR is formatted correctly helps these newcomers get up to speed quickly and start contributing value.

Tools like Prettier ask us to loosen our grip on code formatting and styling. Many of us are passionate about the code we write—and there's nothing wrong about that! However, this passion often results in us holding on tightly to our idea of what "looks good" or "looks bad". Using a formatter for any team project turns this conversation about style into a one-time decision—which formatter shall you choose, and how shall you configure it.

What about you? Have you encountered pushback when introducing formatters into a codebase? Have you pushed back yourself? I'd love to hear any thoughts you have about what happens when we let our tools take control. If you want you can reach out to me on Twitter and let me know what you think!